Excerpt
1.
Below is RbErCdO3 after structural relaxation, with properties calculated at the PBE level.

For the total energy, the calculation gives -5.592 eV/atom. Its crystal system is orthorhombic.

The space group is Cmcm (No. 63) and the conventional cell measures 3.5415, 13.5203 and 9.1305 Å, with angles of 90.00, 90.00 and 90.00 degrees. The distinct sites, in fractional coordinates, are Rb at (0.0000, 0.1905, 0.2500), Er at (0.0000, 0.5000, 0.0000), Cd at (0.0000, 0.0905, 0.7500), O at (0.0000, 0.1066, 0.5223) and O at (0.0000, 0.4781, 0.7500).

***

2.
Below is ErTlCdO3 after structural relaxation, with properties calculated at the PBE level.

For the total energy, the calculation gives -5.655 eV/atom. Its crystal system is orthorhombic.

The space group is Cmcm (No. 63) and the conventional cell measures 3.4659, 13.8265 and 8.6274 Å, with angles of 90.00, 90.00 and 90.00 degrees. The distinct sites, in fractional coordinates, are Er at (0.0000, 0.0000, 0.0000), Tl at (0.0000, 0.3388, 0.2500), Cd at (0.0000, 0.3323, 0.7500), O at (0.0000, 0.0470, 0.7500) and O at (0.0000, 0.3977, 0.5300).

***

3.
Below is Er2Cd3Pb3 after structural relaxation, with properties calculated at the PBE level.

For the total energy, the calculation gives -3.155 eV/atom. Its crystal system is orthorhombic.

The space group is Pmmm (No. 47) and the conventional cell measures 4.6355, 4.9190 and 9.0074 Å, with angles of 90.00, 90.00 and 90.00 degrees. The distinct sites, in fractional coordinates, are Er at (0.0000, 0.0000, 0.2493), Cd at (0.0000, 0.5000, 0.5000), Cd at (0.5000, 0.5000, 0.2622), Pb at (0.0000, 0.5000, 0.0000), Pb at (0.5000, 0.0000, 0.0000) and Pb at (0.5000, 0.0000, 0.5000).

***

4.
Below is ErCdPd after structural relaxation, with properties calculated at the PBE level.

For the total energy, the calculation gives -3.657 eV/atom. The calculation puts the formation energy at -0.112 eV per atom. Its crystal system is cubic.

The space group is F-43m (No. 216) and the conventional cell measures 6.7380, 6.7380 and 6.7380 Å, with angles of 90.00, 90.00 and 90.00 degrees. The distinct sites, in fractional coordinates, are Er at (0.0000, 0.0000, 0.0000), Cd at (0.2500, 0.2500, 0.7500) and Pd at (0.2500, 0.2500, 0.2500).

***

5.
Below is ErCdPd after structural relaxation, with properties calculated at the PBE level.

For the total energy, the calculation gives -4.123 eV/atom. The calculation puts the formation energy at -0.578 eV per atom. Its crystal system is cubic.

The space group is F-43m (No. 216) and the conventional cell measures 6.6129, 6.6129 and 6.6129 Å, with angles of 90.00, 90.00 and 90.00 degrees. The distinct sites, in fractional coordinates, are Er at (0.0000, 0.0000, 0.0000), Cd at (0.0000, 0.0000, 0.5000) and Pd at (0.2500, 0.2500, 0.7500).

***

6.
Below is PrErCd after structural relaxation, with properties calculated at the PBE level.

For the total energy, the calculation gives -2.928 eV/atom. The calculation puts the formation energy at 0.483 eV per atom. Its crystal system is cubic.

The space group is F-43m (No. 216) and the conventional cell measures 7.3107, 7.3107 and 7.3107 Å, with angles of 90.00, 90.00 and 90.00 degrees. The distinct sites, in fractional coordinates, are Pr at (0.0000, 0.0000, 0.0000), Er at (0.2500, 0.2500, 0.2500) and Cd at (0.2500, 0.2500, 0.7500).

***

7.
Below is PrErCd6 after structural relaxation, with properties calculated at the PBE level.

For the total energy, the calculation gives -2.122 eV/atom. The calculation puts the formation energy at -0.283 eV per atom. The calculation puts the excess energy over the best structure of this formula in the dataset at 0.05 eV/f.u. Its crystal system is orthorhombic.
Job
Now say how many lines of the data further above hold the word "structure", as a bare number.
Outcome
1